Tuesday, March 31, 2009

Ahhh, spring!!

One of my favorite times of year! I love the transition from winter to spring and from summer to fall. Even though these times of year bring a restlessness to my spirit I am drawn into each of them by the magnificent changes taking place all around me. I love how each day of spring brings the change of color from winter's boring shades of brown. How seemingly each morning there is some new hint of bright color and even the activities of birds and animals herald the change of season. How those hardy roots that have lain dormant through winters cold seem to defy the chill at last and reach for the sun!! Those that seem to be among the frailest, the daffodils, crocuses and buttercups appear to be the most determined and sometimes become so impatient that they must endure a late snow or a frosty morning! I wonder what valuable lessons we of the "higher" nature could learn if only we could speak their language?

-- Attached: records of crystals --
#a
{
  "formula": "Sr3ScIr",
  "functional": "PBE",
  "state": "optimized geometry",
  "spacegroup": "Pm-3m",
  "magmom_total_mub_per_fu": 4.23,
  "lattice_angstrom": [[5.8384, 0.0000, 0.0000], [0.0000, 5.8384, 0.0000], [0.0000, 0.0000, 5.8384]],
  "species": ["Sr", "Sr", "Sr", "Sc", "Ir"],
  "fractional_positions": [[0.0000, 0.0000, 0.5000], [0.0000, 0.5000, 0.0000], [0.5000, 0.0000, 0.0000], [0.0000, 0.0000, 0.0000], [0.5000, 0.5000, 0.5000]]
}

#b
{
  "formula": "Sr3ScIr",
  "functional": "PBE",
  "state": "optimized geometry",
  "spacegroup": "Pm-3m",
  "magmom_total_mub_per_fu": 0.00,
  "lattice_angstrom": [[5.8141, 0.0000, 0.0000], [0.0000, 5.8141, 0.0000], [0.0000, 0.0000, 5.8141]],
  "species": ["Sr", "Sr", "Sr", "Sc", "Ir"],
  "fractional_positions": [[0.0000, 0.0000, 0.5000], [0.0000, 0.5000, 0.0000], [0.5000, 0.0000, 0.0000], [0.5000, 0.5000, 0.5000], [0.0000, 0.0000, 0.0000]]
}

Of them, #a has the lowest stability.

#a
{
  "formula": "SrScIr",
  "functional": "PBE",
  "state": "optimized geometry",
  "spacegroup": "P3m1",
  "magmom_total_mub_per_fu": 0.00,
  "lattice_angstrom": [[4.1532, 0.0000, 0.0000], [-2.0766, 3.5968, 0.0000], [0.0000, 0.0000, 5.9226]],
  "species": ["Sr", "Sc", "Ir"],
  "fractional_positions": [[0.0000, 0.0000, 0.0000], [0.3333, 0.6667, 0.4794], [0.6667, 0.3333, 0.3174]]
}

#b
{
  "formula": "SrScIr",
  "functional": "PBE",
  "state": "optimized geometry",
  "spacegroup": "F-43m",
  "magmom_total_mub_per_fu": 0.00,
  "lattice_angstrom": [[6.7422, 0.0000, 0.0000], [0.0000, 6.7422, 0.0000], [0.0000, 0.0000, 6.7422]],
  "species": ["Sr", "Sr", "Sr", "Sr", "Sc", "Sc", "Sc", "Sc", "Ir", "Ir", "Ir", "Ir"],
  "fractional_positions": [[0.0000, 0.0000, 0.0000], [0.0000, 0.5000, 0.5000], [0.5000, 0.0000, 0.5000], [0.5000, 0.5000, 0.0000], [0.2500, 0.2500, 0.7500], [0.2500, 0.7500, 0.2500], [0.7500, 0.2500, 0.2500], [0.7500, 0.7500, 0.7500], [0.2500, 0.2500, 0.2500], [0.2500, 0.7500, 0.7500], [0.7500, 0.2500, 0.7500], [0.7500, 0.7500, 0.2500]]
}

Of them, #b has the lowest stability.

#a
{
  "formula": "ScTaIr",
  "functional": "PBE",
  "state": "optimized geometry",
  "spacegroup": "I4mm",
  "magmom_total_mub_per_fu": 0.00,
  "lattice_angstrom": [[3.1765, 0.0000, 0.0000], [0.0000, 3.1765, 0.0000], [0.0000, 0.0000, 10.5017]],
  "species": ["Sc", "Sc", "Ta", "Ta", "Ir", "Ir"],
  "fractional_positions": [[0.0000, 0.0000, 0.0000], [0.5000, 0.5000, 0.5000], [0.0000, 0.0000, 0.3147], [0.5000, 0.5000, 0.8147], [0.0000, 0.0000, 0.6665], [0.5000, 0.5000, 0.1665]]
}

#b
{
  "formula": "ScTaIr",
  "functional": "PBE",
  "state": "optimized geometry",
  "spacegroup": "P3m1",
  "magmom_total_mub_per_fu": 0.00,
  "lattice_angstrom": [[4.5315, 0.0000, 0.0000], [-2.2657, 3.9244, 0.0000], [0.0000, 0.0000, 2.9403]],
  "species": ["Sc", "Ta", "Ir"],
  "fractional_positions": [[0.0000, 0.0000, 0.0000], [0.3333, 0.6667, 0.3945], [0.6667, 0.3333, 0.6522]]
}

Of them, #b has the lowest stability.

#a
{
  "formula": "ScTaIr",
-- So much for the records of crystals --

Even the turmoil in our country and the world seem somehow easier to face with the promise of new life bursting all around. My desire to start a garden and other "springy" things is tempered only by a look at the forecast that says there are cold nights yet to be endured and the possibility of frost to wreak havoc with my efforts. And so, I seek something with which to pass the days until the warmth has come to stay. I still need to keep the wood box replenished and make sure there is heat in the well house etc. But soon the tangy smell of wood smoke from our two woodburners will fade away and will not be known until my next favorite season, autumn, comes calling and speaks of winters sure return.

I look forward to times with my family in the great outdoors. Times of watching my granddaughter discover new things as they seemingly appear like magic. A butterfly, a frog by the creek, a caterpillar on a leaf, a baby bird's first attempt at flight. "Lovey", my granddaughter is so alive, so full of wonder and so inquisitive at the age of two and a half years! Her imagination is boundless and she sees things in such a delightful fashion. One day I am a puppy dog to her and she pats my face and says "You're a good doggy!!" The next day I am transformed into "Bob" the tomato of Veggietail fame and she is "Larry the cucumber"!! Oh how I waited for and longed for these times. "Thank you God, for the blessings you so richly pour into my life day by day!" You and you alone know my needs and how to provide them.
In a later post I will speak more of this wonderful child and how God brought her into my life!! It's an amazing story of God's love, power, sense of timing, and control; over circumstances!!

**Unrelated to this entry: crystal structures**
........
## Pa2WAu (PBE-GGA)

Data for crystalline Pa2WAu at its relaxed geometry.

The density is 15.7 g/cm3. For the density of states at the Fermi level, the calculation gives 7.207 states/eV/f.u. The electronic total energy is -35.04 eV/cell. For the energy of formation, the calculation gives 46 meV per atom. For the volume, the calculation gives 89.1 Å³/cell.

a = 3.277 Å, b = 3.277 Å, c = 8.298 Å
α = 90.00°, β = 90.00°, γ = 90.00°
Fractional positions:
Pa 0.000 0.000 0.227
Pa 0.000 0.000 0.773
W 0.500 0.500 0.000
Au 0.500 0.500 0.500

~~~~~

MgFeNO2 GGA+U relaxed; final energy = -5.553 eV/atom; theoretical density = 3.862 g/cm3; DOS(E_F) = 2.1 states/eV/cell; crystal system = tetragonal
1.0
3.789 0.000 0.000
0.000 3.789 0.000
0.000 0.000 3.778
Mg Fe N O
1 1 1 2
Direct
0.000 0.000 0.000
0.500 0.500 0.500
0.500 0.500 0.000
0.000 0.500 0.500
0.500 0.000 0.500

~~~~~

# CaSbSe2N | Alexandria via LeMat-Bulk | PBE | optimized geometry
data_CaSbSe2N
_chemical_formula_sum 'Ca1 Sb1 Se2 N1'
_cell_length_a 5.404
_cell_length_b 5.404
_cell_length_c 4.017
_cell_angle_alpha 90.00
_cell_angle_beta 90.00
_cell_angle_gamma 90.00
_space_group_name_H-M_alt 'P 4/m m m'
_space_group_IT_number 123
_space_group_name_Hall '-P 4 2'
loop_
_atom_site_label
_atom_site_type_symbol
_atom_site_fract_x
_atom_site_fract_y
_atom_site_fract_z
Ca1 Ca 0.000 0.000 0.000
Sb1 Sb 0.500 0.500 0.500
Se1 Se 0.000 0.500 0.500
N1 N 0.500 0.500 0.000
# ΔE_f (raw)	-0.100	eV per atom
# energy above the lowest structure with this stoichiometry	0	meV/atom

~~~~~

The following is a PBE with a Hubbard U calculation of a relaxed PuMgCo2O8 crystal, from Alexandria via LeMat-Bulk.

Cell and atoms, written as POSCAR:
```
PuMgCo2O8
1.0
-3.306 3.306 3.320
3.306 -3.306 3.320
3.306 3.306 -3.320
Pu Mg Co O
1 1 2 8
direct
0.000 0.000 0.000 Pu
0.250 0.750 0.500 Mg
0.500 0.500 0.000 Co
0.750 0.250 0.500 Co
0.318 0.135 0.818 O
0.318 0.500 0.182 O
0.337 0.041 0.296 O
0.500 0.682 0.818 O
0.745 0.041 0.704 O
0.865 0.682 0.182 O
0.959 0.255 0.296 O
0.959 0.663 0.704 O
```

Fermi-level density of states = 0.088 states/eV/atom
ρ = 5.88 g cm⁻³
DFT total energy = -0.254 hartree per atom
space group = I-4m2

~~~~~

1.
Compound: YTlCr2Co
Source: Alexandria via LeMat-Bulk
Functional: PBE
Structure: optimized geometry Values from VASP.

```
&SYSTEM
  ibrav = 0, nat = 5, ntyp = 4
/
ATOMIC_SPECIES
Y 88.91 Y.upf
Tl 204.38 Tl.upf
Cr 52.00 Cr.upf
Co 58.93 Co.upf
ATOMIC_POSITIONS angstrom
Y 0.0000 0.0000 0.0000
Tl 2.5246 2.5246 2.4013
Cr 0.0000 2.5246 2.4013
Cr 2.5246 0.0000 2.4013
Co 2.5246 2.5246 0.0000
CELL_PARAMETERS angstrom
5.0493 0.0000 0.0000
0.0000 5.0493 0.0000
0.0000 0.0000 4.8026
```

Properties
- Energy: -5.787 eV per atom



2.
Compound: HfMnMo2
Source: Alexandria via LeMat-Bulk
Functional: PBE
Structure: optimized geometry Values from VASP.

```
&SYSTEM
  ibrav = 0, nat = 8, ntyp = 3
/
ATOMIC_SPECIES
Hf 178.49 Hf.upf
Mn 54.94 Mn.upf
Mo 95.94 Mo.upf
ATOMIC_POSITIONS angstrom
Hf 0.0000 0.0000 0.0000
........

So to end my first post, let me say "Thanks for visiting. Come again. Read, enjoy, comment and walk a trail of life with me now and then. I can promise that, in a more literal sense, there will be someone else walking that trail with us. One who already knows the way!! God bless!"